Source code for cell2location.plt.plot_in_1D
(Next to the entry, the page also holds data records)
____________
Computed, not measured: a molecular structure, C30H25ClMnO2P in a non-equilibrium geometry, with ωB97M-V/def2-TZVPD.

Calculated values
LUMO energy (spin up / spin down) (eV): -1.81 / -0.35
DFT total energy (Ha): -3261.20573
Strongest force on any atom (Eh/bohr): 0.0625
E_HOMO (spin up / spin down) (eV): -6.6 / -6.6
Multiplicity: 5
<S²>: 6.179
M (g mol⁻¹): 538.89

Positions of all 60 atoms, in Å:
C1 0.16 -0.89 2.59
C2 -1.01 -2.74 3.35
H1 -1.11 3.41 -3.32
C3 3.48 3.80 1.04
H2 1.17 -0.86 -4.58
C4 0.68 0.07 -4.31
H3 -0.81 2.81 -5.73
C5 1.22 2.70 -0.17
H4 0.81 -0.30 -2.18
C6 2.44 2.75 -0.89
H5 -5.22 4.30 0.41
C7 -2.93 1.93 -0.44
Cl1 -2.21 -2.26 -0.28
C8 -4.25 3.86 0.17
Mn1 -0.52 -2.50 1.25
H6 3.40 -4.62 1.51
H7 -3.17 5.72 0.47
C9 -1.95 -1.84 2.74
H8 -3.03 -1.96 2.71
C10 -1.77 2.76 -0.46
H9 -1.25 -3.67 3.87
H10 -0.22 -4.10 -0.75
C11 1.59 -4.14 0.46
C12 3.55 3.32 -0.28
C13 1.84 -6.09 1.87
C14 0.22 0.95 -5.30
H11 -1.63 0.15 1.72
C15 0.30 -4.59 0.09
C16 2.02 -2.73 0.12
H12 0.37 0.70 -6.35
C17 -1.22 -0.71 2.23
H13 0.11 -7.36 2.08
C18 2.38 -4.93 1.30
H14 2.47 -6.71 2.51
C19 -0.60 2.49 -3.61
H15 4.36 4.26 1.49
H16 -0.95 4.74 -0.10
H17 2.26 4.00 2.81
H18 -2.83 0.86 -0.65
H19 0.25 2.97 1.76
C20 0.29 -2.14 3.27
H20 0.96 -0.16 2.46
H21 4.49 3.39 -0.84
C21 1.17 3.10 1.19
H22 2.48 2.36 -1.90
C22 0.50 0.38 -2.97
C23 -0.43 2.14 -4.95
O1 1.03 -1.87 0.23
C24 -4.16 2.50 -0.14
H23 1.20 -2.50 3.75
P1 -0.24 2.01 -0.91
C25 2.30 3.67 1.77
H24 -1.28 -6.01 0.46
C26 -3.10 4.66 0.20
C27 -0.25 -5.73 0.71
C28 0.52 -6.47 1.60
C29 -0.10 1.62 -2.62
O2 3.17 -2.46 -0.21
C30 -1.86 4.12 -0.12
H25 -5.05 1.86 -0.15

~~~~~

[1]
Entry from OMol25: a structure of composition C22H25Cl2N4O6PSeW (ωB97M-V with the def2-TZVPD basis set).

```
62
Properties=species:S:1:pos:R:3:forces:R:3
W 0.576933 0.366406 0.126764 -0.1 0.2 0.3
Se -0.337986 5.616739 5.658848 -0.1 0.0 0.0
Cl 1.663769 -2.870218 -1.543887 0.0 0.0 0.0
Cl 1.037540 -0.113018 -2.320963 -0.1 -0.1 -0.2
P -2.300626 -0.509181 -0.915376 0.2 -0.2 -0.1
O 2.361273 -0.306619 0.214564 -0.1 -0.3 -0.1
O 4.339837 -0.694102 -0.778540 0.0 -0.1 0.0
O -3.549223 -0.354265 -0.186875 0.0 0.0 0.1
O -2.086485 -1.731513 -1.853521 -0.1 0.1 0.1
O -1.769696 0.733456 -1.751819 -0.1 0.0 0.0
O -1.024064 -0.588262 0.125299 0.1 -0.2 0.0
N -0.231461 5.711914 3.895687 0.1 0.0 -0.1
N 0.424703 0.524041 2.246168 0.0 0.1 0.0
N -0.169771 3.856450 5.691955 0.1 -0.1 0.0
N 0.383511 2.420314 0.418566 0.0 0.1 -0.1
C -0.036089 3.458723 4.452512 0.0 0.0 0.0
C 3.163245 -0.754146 -0.806844 0.0 0.1 0.2
C -2.682521 1.536332 -2.643088 0.0 0.1 0.0
C -4.235254 -2.903564 -2.009670 0.0 0.0 0.0
C 0.176914 0.989668 4.965686 0.0 0.0 0.0
C 0.233495 2.824968 1.711953 0.0 0.0 0.0
C -0.067917 4.490168 3.456240 0.0 0.0 0.0
C -1.749544 2.162631 -3.659317 0.0 0.0 0.0
C -2.761479 -3.071394 -1.700308 0.0 0.0 0.0
C 0.380617 3.337343 -0.564735 0.0 0.1 0.0
C 0.074829 4.160716 2.044017 0.0 0.0 0.0
C 0.457625 -0.493264 3.105157 0.0 0.0 0.0
C -3.685882 0.621745 -3.321082 0.0 0.0 0.0
____________
(The entry goes on)

import matplotlib.pyplot as plt
import numpy as np
import pandas as pd

### The page is interrupted by molecular data
Record 1
Density functional theory data (ωB97M-V/def2-TZVPD) for a molecular structure, C13H21BaNO at a distorted geometry.

The geometry in XYZ format:
```
37
Properties=species:S:1:pos:R:3
Ba -13.3975 0.5588 1.8422
C -11.7597 1.6782 4.8021
C -11.1119 0.4650 4.1372
C -10.4046 0.5460 2.9371
C -10.1062 -0.5603 2.1132
C -9.5529 -0.3600 0.7765
C -10.6530 -1.8014 2.4893
C -11.3110 -1.9439 3.7254
C -11.8412 -3.2764 4.0524
C -11.6364 -0.8141 4.4821
H -11.2387 2.1453 5.6502
H -12.7781 1.4309 5.1926
H -11.9842 2.5372 4.1099
H -10.1092 1.5305 2.5788
H -8.5143 -0.7074 0.8584
H -9.5514 0.6679 0.5014
H -10.0647 -1.0082 0.0930
H -10.4038 -2.7068 1.9655
H -12.9344 -3.3901 4.2792
H -11.4184 -3.5937 5.0474
H -11.5150 -3.9945 3.3240
H -12.3242 -0.9132 5.3213
C -16.7198 5.0012 2.0206
N -15.6814 3.9683 1.7882
C -15.7145 3.2367 0.4971
C -14.6092 3.8015 2.5929
C -14.5052 4.5768 3.8326
O -13.7561 2.9031 2.3587
H -16.2711 5.7833 2.6737
H -17.5747 4.4817 2.4755
H -16.9614 5.5078 1.0741
H -16.4060 3.6754 -0.2128
H -16.0558 2.2404 0.7211
H -14.6946 3.2004 0.0278
H -15.4781 4.6542 4.4946
H -14.1831 5.5777 3.6087
H -13.7812 4.1536 4.5182
```

Values from the calculation:
Molecular weight   344.64 g/mol
F_max   3.02 eV/Å
Total energy   -662.950106 Eh
Spin multiplicity   1
Net charge   +2
Frontier orbital gap   8.24 eV
Highest occupied orbital energy   -15.4 eV



Record 2
Density functional theory data (ωB97M-V/def2-TZVPD) for a single C2H5FS molecule at a distorted geometry.

The geometry in XYZ format:
```
9
Properties=species:S:1:pos:R:3
C 0.4240 -0.5394 -0.4893
C -0.2088 -0.0016 0.6951
F -0.7551 -0.9967 1.4817
S -1.4263 1.3337 0.1266
H -0.2701 -1.1961 -1.0671
H 1.2977 -1.1564 -0.3174
H 0.6956 0.2453 -1.1051
H 0.5788 0.5194 1.2822
H -0.3357 1.7918 -0.6065
```

Values from the calculation:
Molecular weight   80.13 g/mol
F_max   3.51 eV/Å
Total energy   -577.226179 Eh
Structure (SMILES)   C[C@H](F)S
Spin multiplicity   1
Frontier orbital gap   10.26 eV
Energy above the lowest of the compared OMol25 structures with the same formula, charge and spin   22.37 kJ/mol
Highest occupied orbital energy   -9.5 eV



Record 3
Density functional theory data (ωB97M-V/def2-TZVPD) for 2 unconnected molecules or ions with the total composition C4H12O4 at a distorted geometry.

The geometry in XYZ format:
```
20
Properties=species:S:1:pos:R:3
O -1.7213 -2.8246 1.8477
O -1.5226 -0.2406 1.3475
C -1.4101 -1.9366 2.9413
C -2.0335 -0.5914 2.6436
H -2.6292 -3.1594 2.0028
H -1.6352 -0.9487 0.6793
H -1.7915 -2.3758 3.8831
H -0.3226 -1.7698 3.0640
H -3.1097 -0.7437 2.8534
H -1.6708 0.2130 3.3121
O 1.0688 0.9417 -1.1054
O 0.9510 1.6848 -3.9682
C 1.9201 1.8605 -1.7784
C 2.1437 1.4134 -3.2675
H 1.6473 0.1740 -0.9147
H 0.2388 1.2497 -3.4545
H 1.5524 2.9046 -1.7742
H 2.9328 1.8585 -1.3312
H 3.0206 1.9594 -3.6655
H 2.3710 0.3311 -3.3154
```

Values from the calculation:
Molecular weight   124.14 g/mol
F_max   2.16 eV/Å
Total energy   -460.500695 Eh
Structure (SMILES)   OCCO.OCCO
Spin multiplicity   1
[docs]def plot_absolute_abundances_1D( adata_sp, roi_subset=False, saving=False, celltype_subset=False, scaling=0.15, power=1, pws=[0, 0, 100, 500, 1000, 3000, 6000], dimName="VCDepth", xlab="Cortical Depth", colourCode=None, figureSize=(12, 8), ): r""" Plot absolute abundance of celltypes in a dotplot across 1 dimension :param adata_sp: anndata object for spatial data with celltype abundance included in .obs (this is returned by running cell2location first) :param celltype_subset: list of a subset of cell type names to be plotted :param slide&radial_position: if wanting to plot only data from one slide + one radial position, include in these parameters :param cell_types: parameter for only plotting specific cell types where column names in adata_sp.obs are meanSpot[celltype] format :param roi_subset: optionally a boolean for only using part of the data in adata_sp (corresponding to a specific ROI) :param saving: optionally a string value, which will result in the plot to be saved under this name :param scaling: how dot size should scale linearly with abundance values, default 0.15 :param power: how dot size should scale non-linearly with abundance values, default 1 (no non-linear scaling) :param pws: which abundance values to show in the legend :param dimName: the name of the dimensions in adata_sp.obs to use for plotting :param xlab: the x-axis label for the plot :param colourCode: optionally a dictionary mapping cell type names to colours :param figureSize: size of the figure """ SMALL_SIZE = 18 MEDIUM_SIZE = 18 BIGGER_SIZE = 18 plt.rc("font", size=SMALL_SIZE) # controls default text sizes plt.rc("axes", titlesize=SMALL_SIZE) # fontsize of the axes title plt.rc("axes", labelsize=MEDIUM_SIZE) # fontsize of the x and y labels plt.rc("xtick", labelsize=SMALL_SIZE) # fontsize of the tick labels plt.rc("ytick", labelsize=SMALL_SIZE) # fontsize of the tick labels plt.rc("legend", fontsize=SMALL_SIZE) # legend fontsize plt.rc("figure", titlesize=BIGGER_SIZE) # fontsize of the figure title def subset_obs_column(adata, celltype): obs_columns = adata.obs.loc[:, [celltype in x.split("mean_spot_factors") for x in adata.obs.columns]] columns_names = obs_columns.columns return columns_names def subset_anndata(adata, celltype, dimName): adata_subset = adata.copy() names = subset_obs_column(adata, celltype) adata_subset.obs = adata_subset.obs.loc[:, names] adata_subset.obs[dimName] = adata.obs[dimName] adata_subset.obs["Radial_position"] = adata.obs["Radial_position"] adata_subset.obs["slide"] = adata.obs["slide"] return adata_subset if celltype_subset: adata_sp = subset_anndata(adata_sp, celltype_subset, dimName) celltypes = [x.split("meanscell_abundance_w_sf_")[-1] for x in adata_sp.obsm["means_cell_abundance_w_sf"].columns] abundances = adata_sp.obsm["means_cell_abundance_w_sf"] if roi_subset: celltypesForPlot = np.repeat(celltypes, sum(roi_subset)) vcForPlot = np.array([adata_sp.obs[dimName].loc[roi_subset] for j in range(len(celltypes))]).flatten() countsForPlot = np.array([abundances.iloc[:, j].loc[roi_subset] for j in range(len(celltypes))]) else: celltypesForPlot = np.repeat(celltypes, np.shape(adata_sp)[0]) vcForPlot = np.array([adata_sp.obs[dimName] for j in range(len(celltypes))]).flatten() countsForPlot = np.array([abundances.iloc[:, j] for j in range(len(celltypes))]) if type(colourCode) is dict: colourCode = pd.DataFrame(data=colourCode.values(), index=colourCode.keys(), columns=["Colours"]) else: colourCode = pd.DataFrame(data="black", index=celltypes, columns=["Colours"]) coloursForPlot = np.array(colourCode.loc[np.array(celltypesForPlot), "Colours"]) plt.figure(figsize=(figureSize)) plt.scatter( vcForPlot, celltypesForPlot, s=(1 - np.amin(countsForPlot * scaling) + countsForPlot * scaling) ** power, c=coloursForPlot, ) plt.xlabel(xlab) # make a legend: for pw in pws: plt.scatter( [], [], s=((1 - np.amin(countsForPlot * scaling) + pw * scaling)) ** power, c="black", label=str(pw) ) h, leng = plt.gca().get_legend_handles_labels() plt.legend( h[1:], leng[1:], labelspacing=1.2, title="Total Number", borderpad=1, frameon=True, framealpha=0.6, edgecolor="k", facecolor="w", bbox_to_anchor=(1.55, 0.5), ) plt.tight_layout() if saving: plt.savefig(saving)
An isolated molecule of C4H7N at a distorted geometry. Source: the Open Molecules 2025 dataset; level of theory: ωB97M-V/def2-TZVPD.

Positions of all 12 atoms, in Å:
H  2.19058  2.12978  -0.39689
N  1.78720  1.19506  -0.46083
C  0.72818  1.01157  0.20226
C  -0.09408  -0.36872  0.08959
C  0.66767  -1.42497  0.10717
C  -1.55307  -0.19382  -0.10976
H  0.28214  1.88505  0.71501
H  1.73947  -1.45953  0.14498
H  -0.00577  -2.36784  0.19649
H  -2.03137  -1.14875  -0.31383
H  -2.00985  0.25022  0.77490
H  -1.70112  0.49194  -0.94910

Atomic forces in eV per Å
H -0.2839 -0.0864 0.3382
N 0.3054 -0.7058 -0.1940
C -1.2893 -0.3792 -0.9828
C 2.3245 4.2550 0.2408
C -2.4560 -3.2857 0.5167
C 0.0531 -0.1650 0.2639
H -0.2476 -0.6323 0.2434
[docs]def plot_density_1D( adata_sp, subset=None, saving=False, scaling=0.15, power=1, pws=[0, 0, 100, 500, 1000, 3000, 6000, 10000], dimName="VCDepth", areaName="AOISurfaceArea", xlab="Cortical Depth", colourCode=None, figureSize=(12, 8), ): r"""Plot density of celltypes in a dotplot across 1 dimension :param adata_sp: anndata object for spatial data with celltype abundance included in .obs (this is returned by running cell2location first) :param subset: optionally a boolean for only using part of the data in adata_sp :param saving: optionally a string value, which will result in the plot to be saved under this name :param scaling: how dot size should scale linearly with abundance values, default 0.15 :param power: how dot size should scale non-linearly with abundance values, default 1 (no non-linear scaling) :param pws: which abundance values to show in the legend :param dimName: the name of the column in adata_sp.obs that contains the dimension used for plotting :param areaName: the name of the column in adata_sp.obs that contain the area of each ROI (assumed to be square micrometer) :param xlab: the x-axis label for the plot :param colourCode: optionally a dictionary mapping cell type names to colours :param figureSize: size of the figure """ SMALL_SIZE = 18 MEDIUM_SIZE = 18 BIGGER_SIZE = 18 plt.rc("font", size=SMALL_SIZE) # controls default text sizes plt.rc("axes", titlesize=SMALL_SIZE) # fontsize of the axes title plt.rc("axes", labelsize=MEDIUM_SIZE) # fontsize of the x and y labels plt.rc("xtick", labelsize=SMALL_SIZE) # fontsize of the tick labels plt.rc("ytick", labelsize=SMALL_SIZE) # fontsize of the tick labels plt.rc("legend", fontsize=SMALL_SIZE) # legend fontsize plt.rc("figure", titlesize=BIGGER_SIZE) # fontsize of the figure title roi_area = np.array(adata_sp.obs[areaName]) celltypes = [ x.split("mean_spot_factors")[-1] for x in adata_sp.obs.columns if len(x.split("mean_spot_factors")) == 2 ] abundances = adata_sp.obs.loc[:, [len(x.split("mean_spot_factors")) == 2 for x in adata_sp.obs.columns]] if subset: celltypesForPlot = np.repeat(celltypes, sum(subset)) vcForPlot = np.array([adata_sp.obs[dimName].loc[subset] for j in range(len(celltypes))]).flatten() countsForPlot = np.array( [abundances.iloc[:, j].loc[subset] / roi_area[subset] * 10**6 for j in range(len(celltypes))] ) else: celltypesForPlot = np.repeat(celltypes, np.shape(adata_sp)[0]) vcForPlot = np.array([adata_sp.obs[dimName] for j in range(len(celltypes))]).flatten() countsForPlot = np.array([abundances.iloc[:, j] / roi_area * 10**6 for j in range(len(celltypes))]) if type(colourCode) is dict: colourCode = pd.DataFrame(data=colourCode.values(), index=colourCode.keys(), columns=["Colours"]) else: colourCode = pd.DataFrame(data="black", index=celltypes, columns=["Colours"]) coloursForPlot = np.array(colourCode.loc[np.array((celltypesForPlot)), "Colours"]) plt.figure(figsize=(figureSize)) plt.scatter( vcForPlot, celltypesForPlot, s=((1 - np.amin(countsForPlot * scaling) + countsForPlot * scaling)) ** power, c=coloursForPlot, ) plt.xlabel(xlab) # make a legend: for pw in pws: plt.scatter( [], [], s=((1 - np.amin(countsForPlot * scaling) + pw * scaling)) ** power, c="black", label=str(pw) ) h, leng = plt.gca().get_legend_handles_labels() plt.legend( h[1:], leng[1:], labelspacing=1.2, title="Density ($cells/mm^2$)", borderpad=1, frameon=True, framealpha=0.6, edgecolor="k", facecolor="w", bbox_to_anchor=(1, 0.9), ) plt.tight_layout() if saving: plt.savefig(saving)